Request:
Find "-0.004 0.014" and "1.237108 0.007" in the lines further down, and transcribe these two lines and those between.

Contents:
/*
# 1
61
Properties=species:S:1:pos:R:3:forces:R:3 method="wB97M-V/def2-TZVPD" charge=-1 max_force_ev_per_a=0.7 homo_energy_ev=-3.06 e_above_lowest_kj_mol=53.5
H -0.995866 2.155692 1.616296 0.021 0.011 0.015
H 3.094825 -1.201974 4.072159 0.013 -0.007 -0.007
O -0.305012 -0.612763 1.179922 -0.054 -0.228 0.037
H -2.166937 2.920452 0.579222 -0.002 -0.004 0.014
H 1.366687 5.706528 0.988001 -0.014 -0.007 -0.015
H -2.132272 -4.199828 -2.709305 0.001 0.002 0.000
H -2.191539 5.651892 -2.537817 0.008 -0.001 -0.011
C 2.122685 5.232984 0.359455 -0.010 0.032 0.001
H 1.968771 3.282938 1.303832 0.000 0.032 0.013
C 0.048217 -4.066123 1.240112 0.000 -0.025 0.001
H -5.785976 -2.741427 -1.053799 0.003 0.010 0.001
H 0.939009 -5.938720 -0.911645 0.008 0.017 -0.009
H -4.644720 -2.329696 1.101254 -0.004 -0.004 0.000
C -1.903338 4.698841 -2.083042 -0.004 -0.011 -0.018
C -1.171488 3.047628 1.009965 -0.039 -0.075 -0.040
H 4.306628 -1.039525 -2.560156 0.005 0.004 0.003
H -0.265320 -5.675379 -2.172071 -0.005 0.002 0.001
Te -2.765539 0.675968 -2.250334 0.052 -0.270 -0.077
H -4.516393 -3.688744 -2.951247 0.003 0.005 -0.001
C -2.033116 -3.612672 -0.639886 0.017 0.030 0.043
C -2.687147 -3.832056 -1.853325 -0.014 0.000 -0.003
H 1.858766 -0.621994 -2.841106 -0.021 -0.038 0.004
C 4.171742 -1.096188 -0.426914 0.007 0.010 -0.033
H -0.622809 -4.823302 1.651936 0.002 -0.006 -0.005
H 3.103106 5.510528 0.760091 -0.007 0.001 0.024
C 2.291444 -0.750400 -1.855079 -0.042 0.208 0.014
C -0.439570 4.709023 -1.652171 -0.049 0.032 0.052
C -4.744633 -3.007490 -0.929787 -0.002 -0.005 0.013
H -1.785237 4.316430 2.665316 -0.009 0.000 -0.006
C 3.310748 -1.013069 0.687696 -0.040 0.013 0.041
C 0.925056 -0.757707 1.468170 0.033 0.048 0.002
Sb 0.167090 2.874736 -0.671537 0.197 -0.025 -0.069
H 1.082537 -4.377098 1.398061 0.006 0.011 -0.004
H -0.073604 4.435464 2.274701 -0.003 -0.007 0.008
H -0.783963 -6.225444 -0.564734 0.004 0.000 0.006
H 2.039830 5.685246 -0.631025 0.026 -0.007 -0.005
C 3.711202 -1.145897 2.038742 -0.039 0.006 -0.029
P -0.218169 -3.831692 -0.560681 -0.040 -0.090 0.119
C -0.077479 -5.590573 -1.102328 0.003 0.028 -0.027
H -2.269060 -2.852679 1.363061 0.004 0.007 -0.002
C 3.666466 -0.971969 -1.691228 0.062 0.009 0.030
N 1.472866 -0.656813 -0.836395 0.059 -0.352 -0.232
C -1.068118 4.319011 1.838679 -0.001 0.029 0.006
C 1.947699 3.719781 0.299978 0.023 -0.029 0.060
C 1.937840 -0.801064 0.421930 0.015 -0.028 0.014
H 5.228024 -1.263585 -0.264496 0.003 0.000 -0.009
H -1.268816 5.209437 1.237108 0.007 -0.002 -0.004
H 0.218067 4.840733 -2.514947 -0.003 -0.006 -0.004
H -2.566401 4.523655 -1.233309 0.001 0.013 0.003
H -2.102791 3.898374 -2.795604 -0.005 -0.006 0.009
C -2.758662 -3.078297 0.424359 0.003 0.001 0.005
Br 5.541610 -1.409112 2.480021 0.020 -0.004 0.012
Cd -0.894356 -0.647878 -1.020461 -0.192 0.661 0.056
Br 0.192958 -0.912752 4.199895 0.004 0.004 -0.012
H 2.791970 3.273139 -0.232318 -0.012 -0.004 -0.010
H -0.100590 -3.127103 1.771366 -0.001 0.000 -0.005
C 2.784943 -1.094654 3.041456 0.027 -0.007 0.057
C -4.106045 -2.778420 0.276771 -0.003 0.002 -0.007
C 1.426531 -0.914539 2.763598 -0.015 0.040 -0.025
H -0.240641 5.539088 -0.971144 -0.014 -0.006 0.007
C -4.031712 -3.538968 -1.995241 0.006 -0.011 -0.005



# 2
59
Properties=species:S:1:pos:R:3:forces:R:3 method="wB97M-V/def2-TZVPD" charge=+2 max_force_ev_per_a=3.1 homo_energy_ev=-13.94
C -2.454080 2.628494 0.202920 0.434 0.237 0.030
H -3.426960 -2.893066 -1.943481 0.036 0.232 -0.039
H -0.030911 -4.848982 2.040731 0.204 0.023 0.127
H -3.921033 3.919612 1.108969 0.253 -0.031 -0.022
H 1.405327 -5.885956 2.204478 -0.025 -0.009 -0.148
H 2.180192 -3.201056 4.393318 0.022 -0.550 -0.185
C 0.335292 3.100449 -2.722763 0.171 -0.114 -0.129
H 0.732565 -0.553364 2.973103 0.435 -0.134 0.614
H 1.037260 4.685278 -4.008720 -0.057 -0.324 0.039
C -2.858173 3.736256 0.957631 0.111 -0.225 0.003
H -3.186218 1.933566 -0.209355 0.136 0.333 0.094
C -0.123176 3.240007 0.573764 -0.568 -0.050 0.041
H 2.324173 0.717612 -5.063523 -0.143 0.081 0.145
*/

Done:
H -2.166937 2.920452 0.579222 -0.002 -0.004 0.014
H 1.366687 5.706528 0.988001 -0.014 -0.007 -0.015
H -2.132272 -4.199828 -2.709305 0.001 0.002 0.000
H -2.191539 5.651892 -2.537817 0.008 -0.001 -0.011
C 2.122685 5.232984 0.359455 -0.010 0.032 0.001
H 1.968771 3.282938 1.303832 0.000 0.032 0.013
C 0.048217 -4.066123 1.240112 0.000 -0.025 0.001
H -5.785976 -2.741427 -1.053799 0.003 0.010 0.001
H 0.939009 -5.938720 -0.911645 0.008 0.017 -0.009
H -4.644720 -2.329696 1.101254 -0.004 -0.004 0.000
C -1.903338 4.698841 -2.083042 -0.004 -0.011 -0.018
C -1.171488 3.047628 1.009965 -0.039 -0.075 -0.040
H 4.306628 -1.039525 -2.560156 0.005 0.004 0.003
H -0.265320 -5.675379 -2.172071 -0.005 0.002 0.001
Te -2.765539 0.675968 -2.250334 0.052 -0.270 -0.077
H -4.516393 -3.688744 -2.951247 0.003 0.005 -0.001
C -2.033116 -3.612672 -0.639886 0.017 0.030 0.043
C -2.687147 -3.832056 -1.853325 -0.014 0.000 -0.003
H 1.858766 -0.621994 -2.841106 -0.021 -0.038 0.004
C 4.171742 -1.096188 -0.426914 0.007 0.010 -0.033
H -0.622809 -4.823302 1.651936 0.002 -0.006 -0.005
H 3.103106 5.510528 0.760091 -0.007 0.001 0.024
C 2.291444 -0.750400 -1.855079 -0.042 0.208 0.014
C -0.439570 4.709023 -1.652171 -0.049 0.032 0.052
C -4.744633 -3.007490 -0.929787 -0.002 -0.005 0.013
H -1.785237 4.316430 2.665316 -0.009 0.000 -0.006
C 3.310748 -1.013069 0.687696 -0.040 0.013 0.041
C 0.925056 -0.757707 1.468170 0.033 0.048 0.002
Sb 0.167090 2.874736 -0.671537 0.197 -0.025 -0.069
H 1.082537 -4.377098 1.398061 0.006 0.011 -0.004
H -0.073604 4.435464 2.274701 -0.003 -0.007 0.008
H -0.783963 -6.225444 -0.564734 0.004 0.000 0.006
H 2.039830 5.685246 -0.631025 0.026 -0.007 -0.005
C 3.711202 -1.145897 2.038742 -0.039 0.006 -0.029
P -0.218169 -3.831692 -0.560681 -0.040 -0.090 0.119
C -0.077479 -5.590573 -1.102328 0.003 0.028 -0.027
H -2.269060 -2.852679 1.363061 0.004 0.007 -0.002
C 3.666466 -0.971969 -1.691228 0.062 0.009 0.030
N 1.472866 -0.656813 -0.836395 0.059 -0.352 -0.232
C -1.068118 4.319011 1.838679 -0.001 0.029 0.006
C 1.947699 3.719781 0.299978 0.023 -0.029 0.060
C 1.937840 -0.801064 0.421930 0.015 -0.028 0.014
H 5.228024 -1.263585 -0.264496 0.003 0.000 -0.009
H -1.268816 5.209437 1.237108 0.007 -0.002 -0.004